Transcribe the part of the rows further below that starts with the line with "homo_energy_ev" and stops after the one with "species".
+++
{
  "formula": "C33H94O39P6S5",
  "method": "ωB97M-V/def2-TZVPD",
  "e_lumo_ev": 0.100,
  "smiles": "CCOS(C)(=O)=O.CCOS(C)(=O)=O.CCOS(C)(=O)=O.CCOS(C)(=O)=O.CCOS(C)(=O)=O.COP(=O)(OC)OC.COP(=O)(OC)OC.COP(=O)(OC)OC.COP(=O)(OC)OC.COP(=O)(OC)OC.COP(=O)(OC)OC",
  "homo_energy_ev": -10.34,
  "de_lowest_kj_mol": 923.9,
  "orbital_gap_ha": 0.3836,
  "species": ["C", "C", "O", "S", "C", "O", "O", "H", "H", "H", "H", "H", "H", "H", "H", "C", "C", "O", "S", "C", "O", "O", "H", "H", "H", "H", "H", "H", "H", "H", "C", "C", "O", "S", "C", "O", "O", "H", "H", "H", "H", "H", "H", "H", "H", "C", "C", "O", "S", "C", "O", "O", "H", "H", "H", "H", "H", "H", "H", "H", "C", "C", "O", "S", "C", "O", "O", "H", "H", "H", "H", "H", "H", "H", "H", "C", "O", "P", "O", "O", "C", "O", "C", "H", "H", "H", "H", "H", "H", "H", "H", "H", "C", "O", "P", "O", "O", "C", "O", "C", "H", "H", "H", "H", "H", "H", "H", "H", "H", "C", "O", "P", "O", "O", "C", "O", "C", "H", "H", "H", "H", "H", "H", "H", "H", "H", "C", "O", "P", "O", "O", "C", "O", "C", "H", "H", "H", "H", "H", "H", "H", "H", "H", "C", "O", "P", "O", "O", "C", "O", "C", "H", "H", "H", "H", "H", "H", "H", "H", "H", "C", "O", "P", "O", "O", "C", "O", "C", "H", "H", "H", "H", "H", "H", "H", "H", "H"],
+++
  "homo_energy_ev": -10.34,
  "de_lowest_kj_mol": 923.9,
  "orbital_gap_ha": 0.3836,
  "species": ["C", "C", "O", "S", "C", "O", "O", "H", "H", "H", "H", "H", "H", "H", "H", "C", "C", "O", "S", "C", "O", "O", "H", "H", "H", "H", "H", "H", "H", "H", "C", "C", "O", "S", "C", "O", "O", "H", "H", "H", "H", "H", "H", "H", "H", "C", "C", "O", "S", "C", "O", "O", "H", "H", "H", "H", "H", "H", "H", "H", "C", "C", "O", "S", "C", "O", "O", "H", "H", "H", "H", "H", "H", "H", "H", "C", "O", "P", "O", "O", "C", "O", "C", "H", "H", "H", "H", "H", "H", "H", "H", "H", "C", "O", "P", "O", "O", "C", "O", "C", "H", "H", "H", "H", "H", "H", "H", "H", "H", "C", "O", "P", "O", "O", "C", "O", "C", "H", "H", "H", "H", "H", "H", "H", "H", "H", "C", "O", "P", "O", "O", "C", "O", "C", "H", "H", "H", "H", "H", "H", "H", "H", "H", "C", "O", "P", "O", "O", "C", "O", "C", "H", "H", "H", "H", "H", "H", "H", "H", "H", "C", "O", "P", "O", "O", "C", "O", "C", "H", "H", "H", "H", "H", "H", "H", "H", "H"],